Input:
┌──
Entry from the OMol25 dataset: C12H21N3O4PdS as an isolated structure (ωB97M-V/def2-TZVPD).

Last column: natural (NBO) charge in e.
Element x y z (Å)
Pd1 1.43 -0.81 1.35  0.6875
O1 4.29 0.02 3.94  -1.0475
S1 3.07 0.44 3.26  2.5648
O2 1.94 -0.55 3.49  -1.0715
O3 2.66 1.80 3.62  -1.0635
O4 3.25 0.35 1.74  -1.1021
C1 -0.17 1.36 -2.06  -0.6209
C2 1.00 2.14 -1.47  0.1021
C3 1.10 3.52 -2.11  -0.6146
C4 2.30 1.36 -1.72  -0.6388
N1 0.71 2.30 -0.04  -0.5042
N2 1.83 2.87 0.66  -0.7175
H1 -0.04 1.24 -3.14  0.1860
H2 -1.10 1.89 -1.88  0.2011
H3 -0.24 0.37 -1.61  0.2403
H4 1.32 3.45 -3.17  0.1787
H5 1.88 4.10 -1.61  0.2255
H6 0.15 4.05 -1.98  0.1966
H7 2.48 1.24 -2.79  0.1791
H8 2.25 0.38 -1.25  0.2294
H9 3.15 1.89 -1.28  0.2218
H10 0.51 1.37 0.34  0.3516
H11 1.45 3.26 1.52  0.3560
H12 2.45 2.12 0.99  0.3914
C5 -0.41 -4.11 -0.55  -0.6226
C6 -1.58 -3.26 -0.15  -0.1132
C7 -2.88 -3.72 -0.24  -0.2106
C8 -3.97 -2.92 0.13  -0.3281
C9 -3.71 -1.64 0.62  -0.2099
C10 -2.43 -1.14 0.73  -0.0916
C11 -2.17 0.23 1.28  -0.6363
C12 -1.31 -1.94 0.33  0.2075
N3 -0.07 -1.48 0.38  -0.7222
H13 -0.74 -5.09 -0.90  0.1804
H14 0.28 -4.23 0.29  0.2205
H15 0.16 -3.62 -1.34  0.2143
H16 -3.05 -4.72 -0.61  0.1769
H17 -4.98 -3.30 0.06  0.1806
H18 -4.54 -1.01 0.93  0.1800
H19 -3.09 0.70 1.63  0.1844
H20 -1.72 0.89 0.53  0.2206
H21 -1.45 0.19 2.11  0.2379

Results
* ΔE to the lowest compared entry with this formula, charge and spin: 0.00 kcal per mole
* total charge: -2
* Kohn-Sham gap (spin up / spin down): 5.9 / 6.4 eV
* M: 409.8 g/mol
* spin multiplicity: 3
* total energy: -1461.14751 Eh

---

Entry from the OMol25 dataset: C47H99InN5O7 as an isolated structure (ωB97M-V/def2-TZVPD).

Last column: Mulliken charge in e.
Element x y z (Å)
In1 -2.18 2.98 1.39  1.0579
O1 0.32 2.14 0.00  -0.5396
C1 0.43 0.77 -0.46  0.6984
C2 -0.59 -0.40 0.02  -0.6639
O2 -1.95 -0.12 0.19  -0.4246
H1 1.44 0.45 -0.19  -0.2060
H2 0.42 0.91 -1.54  0.0817
H3 -0.34 -0.81 0.99  0.3423
H4 -0.56 -1.12 -0.80  0.5199
C3 -6.44 -3.40 -2.22  -1.8153
C4 -5.53 -3.11 -3.47  1.6908
C5 -6.33 -2.38 -4.53  -1.2152
C6 -5.51 -1.78 -5.66  -0.5757
C7 -4.54 -0.78 -4.98  -1.3365
C8 -3.63 -1.44 -3.89  1.3337
N1 -4.42 -2.29 -2.97  -0.2220
O3 -3.67 -2.86 -1.92  0.0351
C9 -2.63 -2.31 -4.76  -1.5556
C10 -2.76 -0.42 -3.12  -1.8251
C11 -5.02 -4.42 -4.17  -1.5938
H5 -7.23 -4.13 -2.39  0.3860
H6 -6.88 -2.44 -1.93  0.4031
H7 -5.94 -3.79 -1.33  0.1985
H8 -7.02 -3.08 -5.01  0.4463
H9 -6.95 -1.62 -4.07  0.3652
H10 -6.14 -1.18 -6.32  0.3818
H11 -4.94 -2.52 -6.23  0.3377
H12 -5.17 0.00 -4.54  0.4300
H13 -3.88 -0.26 -5.68  0.4295
H14 -1.72 -1.80 -5.07  0.4487
H15 -2.10 -2.96 -4.06  0.3897
H16 -3.03 -2.87 -5.61  0.3101
H17 -2.39 0.24 -3.90  0.4749
H18 -3.46 0.23 -2.60  0.5486
H19 -1.99 -0.93 -2.54  0.0279
H20 -4.32 -4.29 -5.00  0.2959
H21 -5.84 -4.93 -4.68  0.4316
H22 -4.63 -5.23 -3.55  0.3442
H23 -3.02 -3.33 -2.45  0.3427
C12 -2.99 -3.91 0.85  -1.7433
C13 -3.61 -4.07 2.32  1.2709
C14 -2.60 -3.16 3.21  -0.8290
C15 -3.25 -2.98 4.61  -0.8704
C16 -4.60 -2.29 4.59  -1.1272
C17 -5.55 -3.02 3.59  1.4236
N2 -4.97 -3.41 2.29  0.3202
O4 -5.85 -3.95 1.29  -0.2672
C18 -6.16 -4.31 4.40  -1.4869
C19 -6.67 -1.99 3.39  -1.9583
C20 -3.38 -5.61 2.63  -1.6660
H24 -2.80 -2.84 0.77  0.1053
H25 -3.62 -4.19 0.01  0.4480
H26 -2.04 -4.43 0.74  0.4735
H27 -1.62 -3.65 3.20  0.5860
H28 -2.54 -2.23 2.64  -0.0068
H29 -2.61 -2.34 5.22  0.4066
H30 -3.28 -4.00 4.99  0.4480
H31 -4.55 -1.22 4.38  0.3810
H32 -5.05 -2.35 5.58  0.3994
H33 -6.79 -4.09 5.26  0.4349
H34 -6.72 -5.04 3.81  0.3099
H35 -5.40 -4.86 4.96  0.3511
H36 -7.49 -2.29 2.73  0.3610
H37 -7.10 -1.61 4.32  0.3864
H38 -6.30 -1.06 2.95  0.4402
H39 -2.40 -5.76 3.07  0.3897
H40 -3.41 -6.23 1.73  0.3861
H41 -4.01 -5.93 3.46  0.3436
H42 -6.16 -4.72 1.77  0.3460
C21 4.89 1.23 0.84  -1.5460
C22 5.38 -0.02 0.07  1.3635
C23 4.94 -1.25 0.98  -0.6996
C24 4.93 -2.53 0.18  -0.9651
C25 4.02 -2.44 -1.07  -0.8017
C26 4.53 -1.29 -1.94  0.6878
N3 4.66 -0.04 -1.20  1.4367
O5 5.03 1.05 -2.03  -0.5815
└──
Wanted:
Work out how many lines further above have the word "H15" in them; a number is enough.
Done:
2